This algorithm could solve NP Complete problem in P time

Analytics Vidhya
Published in
3 min readApr 11, 2020


This article is the result of my work on algorithms and how they relate to classical parts of pure mathematics, as well as my research on the mathematical theory of computation. The following ideas represent a hypothetical thought experiment and not a real computer program.

What is the computational efficiency of a computer virus?

For the purpose of this thought experiment, imagine the following fake computer virus: for each computer infected by this “virus”, this computer will infect another computer over the internet once every T seconds.

'''
For Pr2Tm4Th3, a GGA-PBE-relaxed structure gives the theoretical powder diffractogram in this record (a wavelength of 1.5418 Å).

Peak list (10 most intense, 5 to 70 degrees two-theta, low angle first)
- (1 0 0), 3.084 Å, 28.95°, I = 41
- (0 0 9), 2.958 Å, 30.21°, I = 42
- (0 1 3), 2.913 Å, 30.69°, I = 12
- (0 1 4), 2.798 Å, 31.98°, I = 54
- (1 0 5), 2.669 Å, 33.58°, I = 100
- (1 0 9), 2.135 Å, 42.34°, I = 25
- (1 1 0), 1.781 Å, 51.31°, I = 34
- (0 1 14), 1.619 Å, 56.88°, I = 30
- (1 1 9), 1.526 Å, 60.71°, I = 35
- (0 2 5), 1.481 Å, 62.74°, I = 20

```
Pr2Tm4Th3
1.0
3.5613 0.0000 0.0000
-1.7807 3.0842 0.0000
0.0000 0.0000 26.6229
Pr Tm Th
2 4 3
Direct
0.0000 0.0000 0.0000
0.0000 0.0000 0.2255
0.0000 0.0000 0.3536
0.0000 0.0000 0.5691
0.3333 0.6667 0.6729
0.3333 0.6667 0.8886
0.0000 0.0000 0.7813
0.3333 0.6667 0.1140
0.3333 0.6667 0.4591
```

=====

Computed X-ray diffraction stick pattern
Compound: Ba3La2C5O15F2
Radiation: a wavelength of 1.5418 Å
Structure: a crystal structure in Alexandria, relaxed with GGA-PBE

Peak list (8 most intense, 15° ≤ 2θ ≤ 90°, low angle first)
2θ = 21.90°, intensity 100; 2θ = 26.96°, intensity 83; 2θ = 27.11°, intensity 55; 2θ = 34.75°, intensity 21; 2θ = 34.97°, intensity 36; 2θ = 41.49°, intensity 31; 2θ = 41.93°, intensity 40; 2θ = 44.83°, intensity 40

Cell and atoms:
Cell lengths 11.1568, 11.1568, 13.4619 Å; angles 94.70, 94.70, 26.76 degrees
Fractional coordinates of all 54 atoms:
Ba: 0.0000 0.0000 0.0000
Ba: 0.1862 0.1862 0.5952
Ba: 0.3074 0.3074 0.8999
Ba: 0.5000 0.5000 0.5000
Ba: 0.6926 0.6926 0.1001
Ba: 0.8138 0.8138 0.4048
La: 0.1002 0.1002 0.3149
La: 0.3947 0.3947 0.2122
La: 0.6053 0.6053 0.7878
La: 0.8998 0.8998 0.6851
C: 0.0413 0.0413 0.6996
C: 0.1503 0.1503 0.9598
C: 0.2539 0.2539 0.2253
C: 0.3392 0.3392 0.5971
C: 0.4517 0.4517 0.8534
C: 0.5483 0.5483 0.1466
C: 0.6608 0.6608 0.4029
C: 0.7461 0.7461 0.7747
C: 0.8497 0.8497 0.0402
C: 0.9587 0.9587 0.3004
O: 0.0684 0.5010 0.2253
O: 0.0917 0.5296 0.5832
O: 0.0964 0.6609 0.0593
O: 0.0992 0.0992 0.7332
O: 0.1943 0.1943 0.2207
O: 0.2040 0.6402 0.8408
O: 0.2055 0.2055 0.0035
O: 0.2054 0.7699 0.3142
O: 0.2301 0.7946 0.6858
O: 0.3391 0.9036 0.9407
O: 0.3598 0.7960 0.1592
O: 0.3973 0.3973 0.6314
O: 0.4704 0.9083 0.4168
O: 0.4904 0.4904 0.1145
O: 0.4990 0.9316 0.7747
O: 0.5010 0.0684 0.2253
O: 0.5096 0.5096 0.8855
O: 0.5296 0.0917 0.5832
O: 0.6027 0.6027 0.3686
O: 0.6402 0.2040 0.8408
O: 0.6609 0.0964 0.0593
O: 0.7699 0.2054 0.3142
O: 0.7946 0.2301 0.6858
O: 0.7945 0.7945 0.9965
O: 0.7960 0.3598 0.1592
O: 0.8057 0.8057 0.7793
O: 0.9008 0.9008 0.2668
O: 0.9036 0.3391 0.9407
O: 0.9083 0.4704 0.4168
O: 0.9316 0.4990 0.7747
F: 0.0739 0.0739 0.4831
F: 0.3753 0.3753 0.3855
F: 0.6247 0.6247 0.6145
F: 0.9261 0.9261 0.5169



Computed X-ray diffraction stick pattern
Compound: BaZnCO3F2
Radiation: a wavelength of 1.5418 Å
Structure: a crystal structure in Alexandria, relaxed with GGA-PBE

Peak list (8 most intense, 15° ≤ 2θ ≤ 90°, low angle first)
'''

Let’s take units where, by definition, T=1. Then we shall construct a fake “Command & Control Server” (C&C Server) (for this thought experiment), and the system consisting of the C&C Server + all infected computers constitutes a “single machine”.

First, assume we infect a single computer with this virus, say we infect the C&C server. Then the number of infected computers will double every unit of time T. After a total period of time t has passed, there will be 2^t infected computers. This means the “virus” spreads with a so-called “exponential efficiency”

For all practical purposes, it’s okay to assume that starting after time t=0, the computational power of the entire system grows exponentially in time. This is the basis of the entire algorithm, and why this is a thought experiment and not a real program.

The Algorithm

It’s a well known result in the theory of NP Complete that if there exists an algorithm to solve any single NP Complete problem in P time, then this algorithm can be used to solve any other problem in the family NP Complete in P time as well.

The basic idea is to make use of a practically infinite amount of computer power which grows exponentially in time. Let’s take as example NP Complete problem, the so-called SAT problem, which means the Boolean Satisfiability Problem, which can be stated as follows:

SAT PROBLEM: Decide whether or not the variables of a given Boolean formula can be consistently replaced by the values TRUE or FALSE in such a way that the formula evaluates to TRUE

Let B be any Boolean formula, and let N be the number of variables in B

1 — infect 2^N computers at an exponential rate in time with pre-defined instructions from the C&C server

2 —after a pre-determined amount of time, the pre-defined instructions execute their “payload”, which consists of checking the SAT problem

3 — if at any time, one of the infected computers gets the answer “True” when checking B, then it will send this message back to the C&C server

~~~
This entry pairs a crystal structure of Ga with its simulated powder XRD pattern. Radiation: copper Kα. Structure: a PBE-relaxed structure.

Crystal structure
Cell lengths 2.9135, 4.4367, 5.1680 Å; angles 65.60, 88.61, 71.36 degrees
Fractional positions:
Ga 0.0000 0.0000 0.0000
Ga 0.1712 0.6389 0.6689
Ga 0.8288 0.3611 0.3311

Largest 6 diffraction maxima, sorted by position, 2θ = 10–80°:
two_theta, d (Å), I_rel
32.69, 2.739, 535
33.18, 2.700, 409
35.48, 2.530, 1000
36.31, 2.474, 930
41.56, 2.173, 369
43.04, 2.101, 544

***

This entry pairs a crystal structure of NdCuSbO with its simulated powder XRD pattern. Radiation: copper Kα. Structure: a PBE-relaxed structure.

Crystal structure
Cell lengths 4.0145, 4.0145, 10.0394 Å; angles 90.00, 90.00, 90.00 degrees
Fractional positions:
Nd 0.2500 0.2500 0.1192
Nd 0.7500 0.7500 0.8808
Cu 0.2500 0.7500 0.5000
Cu 0.7500 0.2500 0.5000
Sb 0.2500 0.2500 0.6710
Sb 0.7500 0.7500 0.3290
O 0.2500 0.7500 0.0000
O 0.7500 0.2500 0.0000

Largest 6 diffraction maxima, sorted by position, 2θ = 10–80°:
two_theta, d (Å), I_rel
28.47, 3.135, 1000
31.52, 2.839, 203
45.17, 2.007, 358
48.41, 1.880, 289
54.26, 1.690, 327
65.79, 1.419, 181

***

This entry pairs a crystal structure of Cu2H4CO5 with its simulated powder XRD pattern. Radiation: copper Kα. Structure: a PBE-relaxed structure.

Crystal structure
Cell lengths 5.7719, 6.1128, 7.0237 Å; angles 90.00, 110.68, 90.00 degrees
Fractional positions:
Cu 0.0009 0.0000 0.4983
Cu 0.4961 0.2492 0.5046
Cu 0.5039 0.7492 0.4954
Cu 0.9991 0.5000 0.5017
H 0.0709 0.0200 0.9196
H 0.2967 0.2392 0.7756
H 0.3374 0.7368 0.7635
H 0.3671 0.4881 0.2080
H 0.6329 0.9881 0.7920
H 0.6626 0.2368 0.2365
H 0.7033 0.7392 0.2244
H 0.9291 0.5200 0.0804
C 0.2309 0.0737 0.0542
C 0.7691 0.5737 0.9458
O 0.2266 0.2502 0.6205
O 0.2330 0.7494 0.6157
O 0.2345 0.0176 0.2277
O 0.3382 0.5001 0.3369
O 0.3948 0.1908 0.0165
O 0.6052 0.6908 0.9835
O 0.6618 0.0001 0.6631
O 0.7655 0.5176 0.7723
O 0.7670 0.2494 0.3843
O 0.7734 0.7502 0.3795

Largest 6 diffraction maxima, sorted by position, 2θ = 10–80°:
two_theta, d (Å), I_rel
13.47, 6.571, 1000
27.14, 3.286, 195
33.70, 2.660, 222
34.77, 2.580, 156
38.66, 2.329, 235
47.58, 1.911, 142

=====

Record 1
The following is a theoretical PXRD pattern of ZrVH2. It was derived from a PBE-relaxed structure, using Cu Kα.

Largest 6 diffraction maxima, in order of rising 2θ, 2θ = 10–90°:
| two_theta | Rel. int. |
| --- | --- |
| 27.79 | 342 |
| 33.72 | 445 |
| 34.19 | 248 |
| 34.75 | 548 |
| 35.10 | 1000 |
| 46.22 | 347 |

Crystal structure
```
data_ZrVH2
_cell_length_a 5.2722
_cell_length_b 2.9644
_cell_length_c 5.4721
_cell_angle_alpha 90.00
_cell_angle_beta 106.56
_cell_angle_gamma 90.00
_symmetry_space_group_name_H-M 'P 1'
_symmetry_Int_Tables_number 1
loop_
_symmetry_equiv_pos_as_xyz
'x,y,z'
loop_
_atom_site_label
_atom_site_fract_x
_atom_site_fract_y
_atom_site_fract_z
Zr1 0.1880 0.2500 0.3076
Zr2 0.8120 0.7500 0.6924
V1 0.3448 0.2500 0.8481
V2 0.6552 0.7500 0.1519
~~~

Then given any boolean expression B involving N variables, I can use this algorithm to solve the boolean satisfiability problem, on average, much faster than a normal program run on a finite network of computers.

Misplaced materials data =
=====
Diffraction record for CdPd9Pt2. The powder X-ray diffraction pattern is calculated, not measured: it uses a crystal structure in Alexandria, relaxed with GGA-PBE and Cu Kα, 1.54184 Å.
Lines closer than 0.1° are merged.

Most intense lines, 10° ≤ 2θ ≤ 90°, by intensity:
| Position (°2θ) | intensity | h k l |
| --- | --- | --- |
| 39.26 | 100 | 1 1 3 |
| 45.79 | 32 | 2 0 0 |
| 80.28 | 24 | 3 1 3 |
| 66.43 | 21 | 2 0 6 |
| 45.36 | 16 | 0 0 6 |
| 79.66 | 12 | 1 1 9 |
| 84.43 | 11 | 2 2 6 |
| 66.77 | 10 | 2 2 0 |
| 22.44 | 3 | 1 0 0 |
| 31.79 | 2 | 1 0 3 |

Atomic structure:
Lattice parameters (Å, degrees): 3.9628 3.9628 11.9951 90.00 90.00 90.00
Space group P4/mmm (No. 123)
Inequivalent atoms, fractional coordinates:
Cd 0.0000 0.0000 0.0000
Pd 0.0000 0.5000 0.1719
Pd 0.0000 0.5000 0.5000
Pd 0.5000 0.5000 0.0000
Pd 0.5000 0.5000 0.3353
Pt 0.0000 0.0000 0.3376

~~~~~

Record 1
Starting from DFT lattice parameters and positions (GGA-PBE), the powder diffractogram of LiNd6Al was simulated for a wavelength of 1.5418 Å.
Neutral-atom scattering factors, no anomalous dispersion.

Most intense lines, 2θ = 10–90°, in order of rising 2θ:
| Position (°2θ) | I/Imax |
| --- | --- |
| 24.04 | 9.0 |
| 26.02 | 33.8 |
| 29.74 | 15.5 |
| 31.27 | 100.0 |
| 34.25 | 44.9 |
| 45.99 | 18.8 |
| 49.23 | 16.1 |
| 53.67 | 14.1 |
| 56.81 | 15.8 |
| 58.58 | 9.1 |
| 59.48 | 31.9 |
| 78.43 | 12.3 |

Structure:
```
data_LiNd6Al
_chemical_formula_sum 'Li1 Nd6 Al1'
_symmetry_space_group_name_H-M 'P 1'
_symmetry_Int_Tables_number 1
_cell_length_a 9.7410
_cell_length_b 9.7410
_cell_length_c 5.2355
_cell_angle_alpha 105.54
_cell_angle_beta 105.54
_cell_angle_gamma 31.18
loop_
_symmetry_equiv_pos_as_xyz
'x,y,z'
loop_
_atom_site_label
_atom_site_fract_x
_atom_site_fract_y
_atom_site_fract_z
Li1 0.0000 0.0000 0.0000
Nd1 0.1069 0.1069 0.6067
Nd2 0.2514 0.2514 0.2518
Nd3 0.3931 0.3931 0.8932
Nd4 0.6069 0.6069 0.1068
Nd5 0.7486 0.7486 0.7482
Nd6 0.8931 0.8931 0.3933
Al1 0.5000 0.5000 0.5000
```

***

Record 2
Starting from DFT lattice parameters and positions (GGA-PBE), the powder diffractogram of NdTmPt was simulated for a wavelength of 1.5418 Å.
Neutral-atom scattering factors, no anomalous dispersion.

Most intense lines, 2θ = 10–90°, in order of rising 2θ:
| Position (°2θ) | I/Imax |
| --- | --- |
| 13.22 | 43.3 |
| 22.31 | 53.2 |
| 29.13 | 49.4 |
| 29.46 | 37.0 |
| 31.23 | 38.0 |
| 31.77 | 47.7 |
| 32.26 | 97.4 |
| 36.24 | 100.0 |
| 36.81 | 42.3 |
| 37.44 | 39.7 |
| 38.73 | 37.7 |
| 40.25 | 40.2 |

Structure:
```
data_NdTmPt
_chemical_formula_sum 'Nd8 Tm8 Pt8'
_symmetry_space_group_name_H-M 'P 1'
_symmetry_Int_Tables_number 1
_cell_length_a 6.8955
_cell_length_b 13.3967
_cell_length_c 7.1327
_cell_angle_alpha 90.00
_cell_angle_beta 90.00
_cell_angle_gamma 90.00
loop_
_symmetry_equiv_pos_as_xyz
'x,y,z'
loop_
_atom_site_label
_atom_site_fract_x
_atom_site_fract_y
_atom_site_fract_z
Nd1 0.2086 0.1961 0.0995
Nd2 0.2086 0.3039 0.5995
Nd3 0.2914 0.6961 0.0995
Nd4 0.2914 0.8039 0.5995
=====

Theoretical Computational Efficiency

In a scenario where the problem has no solution, it will take the C&C Server the maximum amount of time before concluding this problem cannot be solved; however, if B is solvable (by assumption, for the sake of argument), then it’s completely random what order each infected computer will send the C&C a True message. Sometimes you will get very lucky and the algorithm will complete very fast, other times, you will be unlucky and it will essentially take a worst case scenario amount of time, which would be the same as how much time it would take if B were unsolvable.

Heuristically, these types of arguments suggest there could be a logarithmic saving in theoretical computational efficiency, corresponding to the exponential increase in computing power, and that the efficiency of this algorithm would be O(N logN). I have at this time not rigorously proved this result.

